Job
Next, reproduce everything below character by character.

Data
/*
[1]
# Hf6AsN2
Simulated XRD peak list, Cu Kα (weighted mean of Kα1 and Kα2). Input: the GGA-PBE geometry in Alexandria.
Neutral-atom scattering factors, no anomalous dispersion.

Top 10 peaks for 15 to 90 degrees two-theta, low angle first:
2θ/deg, I_rel
31.3, 30.4
31.4, 88.9
33.0, 34.1
34.0, 82.3
35.6, 32.4
35.8, 40.1
36.2, 100.0
36.5, 22.1
40.3, 25.5
56.0, 28.4

Structural model:
```
Hf6AsN2
1.0
6.089 -4.853 0.000
6.089 4.853 0.000
-2.178 0.000 5.783
Hf As N
12 2 4
direct
0.025 0.237 0.013
0.113 0.655 0.501
0.237 0.025 0.513
0.310 0.419 0.832
0.345 0.887 0.999
0.419 0.310 0.332
0.581 0.690 0.668
0.655 0.113 0.001
0.690 0.581 0.168
0.763 0.975 0.487
0.887 0.345 0.499
0.975 0.763 0.987
0.343 0.657 0.250
0.657 0.343 0.750
0.117 0.245 0.727
0.245 0.117 0.227
0.755 0.883 0.773
0.883 0.755 0.273
```

=====

[2]
# Na2Hf2As2N
Simulated XRD peak list, Cu Kα (weighted mean of Kα1 and Kα2). Input: the GGA-PBE geometry in Alexandria.
Neutral-atom scattering factors, no anomalous dispersion.

Top 10 peaks for 15 to 90 degrees two-theta, low angle first:
2θ/deg, I_rel
31.4, 84.3
35.2, 17.8
37.6, 100.0
41.6, 48.2
43.3, 30.9
46.3, 22.3
55.6, 19.0
65.0, 17.8
69.5, 17.6
73.2, 28.8

Structural model:
```
Na2Hf2As2N
1.0
4.345 0.000 0.000
0.000 4.345 0.000
0.000 0.000 15.283
Na Hf As N
4 4 4 2
direct
0.000 0.000 0.180
0.000 0.000 0.820
0.500 0.500 0.320
0.500 0.500 0.680
0.000 0.500 0.000
0.000 0.500 0.500
0.500 0.000 0.000
0.500 0.000 0.500
0.000 0.000 0.378
0.000 0.000 0.622
0.500 0.500 0.122
0.500 0.500 0.878
0.000 0.000 0.000
0.500 0.500 0.500
```

=====

# 1
The following is a calculated powder diffraction line list of Bi8Pd2Se. It was derived from the GGA-PBE geometry in OQMD, using Cu Kα (weighted mean of Kα1 and Kα2).

Peak list (8 most intense, 15 to 90 degrees two-theta, low angle first)
2θ/deg, Rel. int., h k l
26.6, 37, 3 0 1
30.3, 100, 2 1 3
31.1, 89, 3 1 2
35.1, 29, 4 1 0
35.9, 25, 3 1 3
36.2, 39, 3 3 0
37.7, 34, 4 0 2
38.7, 34, 4 1 2

abc: 10.5277 10.5277 11.3602
angles: 90.00 90.00 90.00
Space group P4_2/mnm (No. 136)
One atom of each set of equivalent atoms:
Bi: 0.0000 0.0000 0.2143 (multiplicity 4)
Bi: 0.0523 0.3053 0.3229 (multiplicity 16)
Bi: 0.1067 0.8933 0.5000 (multiplicity 4)
Bi: 0.1568 0.8432 0.0000 (multiplicity 4)
Bi: 0.1598 0.1598 0.0000 (multiplicity 4)
Pd: 0.2038 0.7962 0.2796 (multiplicity 8)
Se: 0.0000 0.5000 0.0000 (multiplicity 4)

=====

# 2
The following is a calculated powder diffraction line list of Sn2Bi2Pd3. It was derived from the GGA-PBE geometry in OQMD, using Cu Kα (weighted mean of Kα1 and Kα2).

Peak list (8 most intense, 15 to 90 degrees two-theta, low angle first)
2θ/deg, Rel. int., h k l
22.7, 14, 0 1 2
26.3, 27, 1 0 4
37.5, 100, 1 1 0
37.6, 97, 0 1 8
54.2, 34, 2 0 8
67.7, 53, 3 0 0
68.0, 16, 1 0 16
80.0, 12, 2 2 0

abc: 4.7989 4.7989 23.3842
angles: 90.00 90.00 120.00
Space group R3m (No. 160, hexagonal axes)
One atom of each set of equivalent atoms:
Sn: 0.0000 0.0000 0.0000 (multiplicity 3)
Sn: 0.0000 0.0000 0.4949 (multiplicity 3)
Bi: 0.0000 0.0000 0.2421 (multiplicity 3)
Bi: 0.0000 0.0000 0.7500 (multiplicity 3)
Pd: 0.0000 0.0000 0.3706 (multiplicity 3)
Pd: 0.0000 0.0000 0.6229 (multiplicity 3)
Pd: 0.0000 0.0000 0.8744 (multiplicity 3)

=====

# 3
The following is a calculated powder diffraction line list of Bi8TePd2. It was derived from the GGA-PBE geometry in OQMD, using Cu Kα (weighted mean of Kα1 and Kα2).

Peak list (8 most intense, 15 to 90 degrees two-theta, low angle first)
2θ/deg, Rel. int., h k l
28.4, 25, 2 2 2
29.7, 16, 3 2 0
30.7, 100, 2 1 3
34.0, 19, 4 1 0
35.1, 18, 3 3 0
37.9, 29, 4 1 2
42.4, 20, 5 0 1
60.1, 20, 5 0 5

abc: 10.8576 10.8576 10.9154
angles: 90.00 90.00 90.00
Space group P4_2/mnm (No. 136)
One atom of each set of equivalent atoms:
Bi: 0.0000 0.0000 0.1597 (multiplicity 4)
Bi: 0.0597 0.2902 0.3046 (multiplicity 16)
Bi: 0.1011 0.8989 0.5000 (multiplicity 4)
Bi: 0.1925 0.1925 0.0000 (multiplicity 4)
Bi: 0.1984 0.8016 0.0000 (multiplicity 4)
*/

Response
[1]
# Hf6AsN2
Simulated XRD peak list, Cu Kα (weighted mean of Kα1 and Kα2). Input: the GGA-PBE geometry in Alexandria.
Neutral-atom scattering factors, no anomalous dispersion.

Top 10 peaks for 15 to 90 degrees two-theta, low angle first:
2θ/deg, I_rel
31.3, 30.4
31.4, 88.9
33.0, 34.1
34.0, 82.3
35.6, 32.4
35.8, 40.1
36.2, 100.0
36.5, 22.1
40.3, 25.5
56.0, 28.4

Structural model:
```
Hf6AsN2
1.0
6.089 -4.853 0.000
6.089 4.853 0.000
-2.178 0.000 5.783
Hf As N
12 2 4
direct
0.025 0.237 0.013
0.113 0.655 0.501
0.237 0.025 0.513
0.310 0.419 0.832
0.345 0.887 0.999
0.419 0.310 0.332
0.581 0.690 0.668
0.655 0.113 0.001
0.690 0.581 0.168
0.763 0.975 0.487
0.887 0.345 0.499
0.975 0.763 0.987
0.343 0.657 0.250
0.657 0.343 0.750
0.117 0.245 0.727
0.245 0.117 0.227
0.755 0.883 0.773
0.883 0.755 0.273
```

=====

[2]
# Na2Hf2As2N
Simulated XRD peak list, Cu Kα (weighted mean of Kα1 and Kα2). Input: the GGA-PBE geometry in Alexandria.
Neutral-atom scattering factors, no anomalous dispersion.

Top 10 peaks for 15 to 90 degrees two-theta, low angle first:
2θ/deg, I_rel
31.4, 84.3
35.2, 17.8
37.6, 100.0
41.6, 48.2
43.3, 30.9
46.3, 22.3
55.6, 19.0
65.0, 17.8
69.5, 17.6
73.2, 28.8

Structural model:
```
Na2Hf2As2N
1.0
4.345 0.000 0.000
0.000 4.345 0.000
0.000 0.000 15.283
Na Hf As N
4 4 4 2
direct
0.000 0.000 0.180
0.000 0.000 0.820
0.500 0.500 0.320
0.500 0.500 0.680
0.000 0.500 0.000
0.000 0.500 0.500
0.500 0.000 0.000
0.500 0.000 0.500
0.000 0.000 0.378
0.000 0.000 0.622
0.500 0.500 0.122
0.500 0.500 0.878
0.000 0.000 0.000
0.500 0.500 0.500
```

=====

# 1
The following is a calculated powder diffraction line list of Bi8Pd2Se. It was derived from the GGA-PBE geometry in OQMD, using Cu Kα (weighted mean of Kα1 and Kα2).

Peak list (8 most intense, 15 to 90 degrees two-theta, low angle first)
2θ/deg, Rel. int., h k l
26.6, 37, 3 0 1
30.3, 100, 2 1 3
31.1, 89, 3 1 2
35.1, 29, 4 1 0
35.9, 25, 3 1 3
36.2, 39, 3 3 0
37.7, 34, 4 0 2
38.7, 34, 4 1 2

abc: 10.5277 10.5277 11.3602
angles: 90.00 90.00 90.00
Space group P4_2/mnm (No. 136)
One atom of each set of equivalent atoms:
Bi: 0.0000 0.0000 0.2143 (multiplicity 4)
Bi: 0.0523 0.3053 0.3229 (multiplicity 16)
Bi: 0.1067 0.8933 0.5000 (multiplicity 4)
Bi: 0.1568 0.8432 0.0000 (multiplicity 4)
Bi: 0.1598 0.1598 0.0000 (multiplicity 4)
Pd: 0.2038 0.7962 0.2796 (multiplicity 8)
Se: 0.0000 0.5000 0.0000 (multiplicity 4)

=====

# 2
The following is a calculated powder diffraction line list of Sn2Bi2Pd3. It was derived from the GGA-PBE geometry in OQMD, using Cu Kα (weighted mean of Kα1 and Kα2).

Peak list (8 most intense, 15 to 90 degrees two-theta, low angle first)
2θ/deg, Rel. int., h k l
22.7, 14, 0 1 2
26.3, 27, 1 0 4
37.5, 100, 1 1 0
37.6, 97, 0 1 8
54.2, 34, 2 0 8
67.7, 53, 3 0 0
68.0, 16, 1 0 16
80.0, 12, 2 2 0

abc: 4.7989 4.7989 23.3842
angles: 90.00 90.00 120.00
Space group R3m (No. 160, hexagonal axes)
One atom of each set of equivalent atoms:
Sn: 0.0000 0.0000 0.0000 (multiplicity 3)
Sn: 0.0000 0.0000 0.4949 (multiplicity 3)
Bi: 0.0000 0.0000 0.2421 (multiplicity 3)
Bi: 0.0000 0.0000 0.7500 (multiplicity 3)
Pd: 0.0000 0.0000 0.3706 (multiplicity 3)
Pd: 0.0000 0.0000 0.6229 (multiplicity 3)
Pd: 0.0000 0.0000 0.8744 (multiplicity 3)

=====

# 3
The following is a calculated powder diffraction line list of Bi8TePd2. It was derived from the GGA-PBE geometry in OQMD, using Cu Kα (weighted mean of Kα1 and Kα2).

Peak list (8 most intense, 15 to 90 degrees two-theta, low angle first)
2θ/deg, Rel. int., h k l
28.4, 25, 2 2 2
29.7, 16, 3 2 0
30.7, 100, 2 1 3
34.0, 19, 4 1 0
35.1, 18, 3 3 0
37.9, 29, 4 1 2
42.4, 20, 5 0 1
60.1, 20, 5 0 5

abc: 10.8576 10.8576 10.9154
angles: 90.00 90.00 90.00
Space group P4_2/mnm (No. 136)
One atom of each set of equivalent atoms:
Bi: 0.0000 0.0000 0.1597 (multiplicity 4)
Bi: 0.0597 0.2902 0.3046 (multiplicity 16)
Bi: 0.1011 0.8989 0.5000 (multiplicity 4)
Bi: 0.1925 0.1925 0.0000 (multiplicity 4)
Bi: 0.1984 0.8016 0.0000 (multiplicity 4)